Caladium - Charming Elephant Ears


Caladium is a charming plant with decorative leaves. It belongs to the Aroid family and is distributed in the tropical and subtropical rainforests of Latin America. For the amazing beauty of the leaves, the caladium is called "angel wings", "elephant ears" and "the heart of Jesus." Alas, the period of wakefulness and active growth is only a few months a year. If you provide the Caladium with a comfortable content, it forms a sprawling bush with leaves of amazing beauty.

Botanical characteristics

Caladium is a herbaceous perennial plant with a tuberous root system. The diameter of a rough flattened tuber is 7-10 cm. Several growth points can be seen on the upper part. A fibrous root system develops from the bottom of the tuber.

The life cycle of caladium is divided into periods of rest and active growth. Since the end of August, all of its grassy shoots begin to dry. Until March, only tubers are preserved. In early spring, young shoots emerge from the earth.

Caladium leaves on long fleshy stalks grow directly from the tuber. In the natural environment, the height of the bush can reach 5 m. Indoor plants are 40-90 cm in height. The arrow-shaped or heart-shaped sheet plate has a contrasting color. The leaf length is about 30 cm, and the width is 15 cm. Since the leaves are the main decoration, there are many types and varieties of plants with a wide variety of colors. Foliage is raspberry, silver, pink.

In late spring, after the appearance of the first 4 leaves, an inflorescence begins to develop - an elongated ear of light yellow hue. It is surrounded by a white-green veil. Flowering is almost not accompanied by aroma and lasts only a few days. After pollination, dense spherical berries ripen. In indoor conditions, flowering and fruiting occurs extremely rarely.

Types of Caladium

The genus of Caladium includes 15 main species. Let's consider some of them.

Caladium Humboldt. It is this species and varieties derived on its basis that are most often found in culture. The stemless plant consists of a rosette of arrow-shaped leaves up to 10 cm long and about 5 cm wide. On the dark green leaf plate in the center are large silver spots. The inflorescence blossoms in April, but does not attract much attention.

Caladium Humboldt

Caladium of Schomburg. Plants prefer moist Brazilian forests. Oval leaves grow to a length of 15 cm and a width of 12 cm. On the front side, the leaf is painted in silver-red shades with green veins. Decorative varieties:

  • Venosum - on the oval green leaf, the border and the central vein are highlighted in red, the side veins are summed up with yellowish stains;
  • Erythraeum - on a dark red sheet plate, silver patterns are located along the veins.
Caladium of Schomburg

Caladium Bicolor common in the Antilles. It is distinguished by sagittal foliage up to 30 cm long. Red, raspberry, light green colors predominate in its color. The ear appears at the end of February.

The culture is dominated not by species caladiums, but by hybrid varieties. Among them, the following are most attractive:

  • Rosalie - a bright green border is visible on red leaves;
  • Pink beauty - the center of the leaf is painted pink, along the edge there is a green border, and the veins are summed up with a bright pink stripe;
  • Florida Cardinal - shiny raspberry leaves bordered by a wide bright green stripe;
  • White Christmas - on the silver surface of the leaf are dark green stripes along the veins and small dark green spots.
Caladium Bicolor


Reproduction of caladium is produced by vegetative and seed methods. Seeds quickly lose their germination capacity, and it is almost impossible to get them at home. Seedlings do not inherit varietal traits of the mother plant. Crops are produced in a container with soil for aroid. Germinate them at a temperature of + 25 ... + 30 ° C under a film or glass, in conditions of high humidity. Shoots appear within three weeks. They are regularly sprayed with warm purified water. Until autumn, seedlings form small nodules that are capable of independent wintering.

== Here the piece breaks off for crystal structures ==
Entry from Alexandria via LeMat-Bulk: a crystal of Ni2PtAu relaxed with PBEsol (meta-GGA SCAN).

Results
E_form: 0.03 eV/atom
calculated total energy: -42.90 eV per atom
M_tot: 1.96 μB/f.u.

```
Ni2PtAu
1.0
-2.8410 -2.4036 -0.0599
0.6186 -0.6411 -3.6137
3.5088 -1.3345 2.7540
Au Ni Pt
1 2 1
direct
0.2500 0.7500 0.5000
0.0000 0.0000 0.0000
0.7500 0.2500 0.5000
0.5000 0.5000 0.0000
```



Entry from Alexandria via LeMat-Bulk: a crystal of NiPt2Au relaxed with PBEsol (meta-GGA SCAN).

Results
E_form: -0.06 eV/atom
calculated total energy: -56.49 eV per atom
M_tot: 1.46 μB/f.u.

```
NiPt2Au
1.0
2.7515 0.0000 0.0000
0.0000 4.7033 0.0013
-1.3757 -0.9896 4.4704
Ni Au Pt
1 1 2
direct
0.5000 0.0000 0.0000
0.0000 0.5000 0.0000
0.2404 0.2390 0.4809
0.7596 0.7610 0.5191
```



Entry from Alexandria via LeMat-Bulk: a crystal of NiPt2Au relaxed with PBEsol (meta-GGA SCAN).

Results
E_form: -0.11 eV/atom
calculated total energy: -56.54 eV per atom
M_tot: 1.65 μB/f.u.

```
NiPt2Au
1.0
-1.0501 -2.4989 -0.4377
-0.1587 -1.8034 2.0644
-8.5042 1.6132 2.5814
Ni Au Pt
1 1 2
direct
0.0000 0.0000 0.0000
0.5000 0.5000 0.5000
0.2574 0.2574 0.2277
0.7426 0.7426 0.7723
```



Entry from Alexandria via LeMat-Bulk: a crystal of NiPtAu relaxed with PBEsol (meta-GGA SCAN).

Results
E_form: -0.02 eV/atom
calculated total energy: -51.86 eV per atom
M_tot: 1.21 μB/f.u.

```
NiPtAu
1.0
2.7610 0.0000 0.0000
0.0000 2.7610 0.0000
-1.3805 -1.3805 5.5707
Ni Au Pt
1 1 1
direct
0.3288 0.3288 0.6576
0.9913 0.9913 0.9826
0.6799 0.6799 0.3598
```



Entry from Alexandria via LeMat-Bulk: a crystal of Ni2PtAu relaxed with PBEsol (meta-GGA SCAN).

Results
E_form: 0.01 eV/atom
calculated total energy: -42.91 eV per atom
M_tot: 1.78 μB/f.u.

```
Ni2PtAu
1.0
-0.8199 -0.7390 -2.4947
-0.0664 -2.6088 0.7946
-6.7856 0.7815 1.9987
Au Ni Pt
1 2 1
direct
0.5000 0.5000 0.7705
0.0000 0.0000 0.0290
0.5000 0.5000 0.2304
0.0000 0.0000 0.4700
```



Entry from Alexandria via LeMat-Bulk: a crystal of NiPt2Au relaxed with PBEsol (meta-GGA SCAN).

Results
E_form: -0.06 eV/atom
calculated total energy: -56.49 eV per atom
M_tot: 1.70 μB/f.u.

```
NiPt2Au
1.0
2.7524 0.0000 0.0000
0.0000 2.7524 0.0000
0.0000 0.0000 7.6037
Ni Au Pt
1 1 2
direct
0.5000 0.5000 0.5000
0.5000 0.5000 0.0000
0.0000 0.0000 0.7218
0.0000 0.0000 0.2782
```



Entry from Alexandria via LeMat-Bulk: a crystal of Ni2PtAu relaxed with PBEsol (meta-GGA SCAN).

Results
E_form: -0.04 eV/atom
calculated total energy: -42.96 eV per atom
M_tot: 2.09 μB/f.u.

```
Ni2PtAu
1.0
-2.3140 1.0324 -0.9995
-1.7389 -2.9308 0.9985
-1.0768 2.2963 4.8647
Ni Au Pt
2 1 1
direct
0.0000 0.0000 0.7645
0.0000 0.0000 0.2355
0.5000 0.5000 0.5000
0.5000 0.5000 0.0000
```



Entry from Alexandria via LeMat-Bulk: a crystal of NiPt2Au relaxed with PBEsol (meta-GGA SCAN).

Results
E_form: -0.01 eV/atom
calculated total energy: -56.44 eV per atom
M_tot: 1.52 μB/f.u.

```
NiPt2Au
1.0
2.7616 0.0000 0.0000
0.0000 2.7616 0.0000
0.0000 0.0000 7.5352
Ni Au Pt
1 1 2
direct

Vegetative propagation is carried out by the method of division or rooting of daughter tubers. In late February, a large tuber with several buds is cut into pieces. Each dividend should have at least two kidneys. Places of slices dipped in crushed charcoal and dried during the day. Later, the tuber is planted in specially prepared soil.

If during the season a baby forms near the mother tuber, in the spring it can be planted in a separate pot and grown as an independent plant.

It is possible to propagate caladium with petioles. For this, a leaf with a stalk is cut off at the very end at the end of May. Root it in warm water. When a tiny tuber is formed at the end of the petiole, it is transplanted into peaty soil. In the fall, the size of the tuber reaches 5-7 mm and the plant goes into a dormant state.

Home Care

At home, it is not very difficult to take care of caladium. Alas, the flower pleases with beautiful foliage for only a few months, but even after that, it also needs to be taken care of during the dormant period.

In early spring, the tubers are transplanted. The pot should fit the size of the nodules. The smallest can be planted several in one pot, but you need to leave them room for growth. The pink dot on the tubers should be on top. To get a large spreading bush, nodules are planted to a depth of 5-10 cm.

It is best to take special soil mixtures for caladium. They are distinguished by light structure and high water permeability. Soil acidity should be neutral. The composition usually includes humus and leafy land, peat, river sand and some charcoal.

Caladium lighting needs intense, but diffuse. The more colorful the foliage, the more light is needed. Direct sunlight quickly causes burns. As a result, ugly brown spots appear. It is best to put pots with caladium on the east or west windows.

The optimum air temperature is + 22 ... + 27 ° C. Cooling below + 20 ° C is undesirable at any time, even during rest.

Caladium can adapt to normal indoor humidity. He gratefully responds to spraying. A lack of moisture leads to drying out of the leaves and a decrease in the growth rate. If necessary, pallets with wet expanded clay are placed near the bushes.

Caladium loves regular watering, but in small portions so that the water does not stagnate in the ground. The top layer of land between waterings should dry out. Since August, when the leaves begin to die, watering is reduced and gradually stopped completely. During the rest period, irrigation of the soil with several tablespoons of water is allowed. In the spring, with the advent of sprouts, watering is increased, but very carefully.

Caladium fertilizer begins in June, when the bulk of the leaves will already appear. A weekly solution of mineral fertilizing with a high content of phosphorus, nitrogen and potassium is poured into the ground. Fertilizers cease from August.

Diseases and Pests

During dormancy, caladium tubers are susceptible to rot. If affected areas are found, they are cut to a healthy tissue and treated with powder fungicides. Dressing must be carried out annually during transplantation. Leaves may suffer from late blight. It is also treated with fungicide.

Caladium can be affected by aphids, mealybugs and spider mites. If pests are found, it is worth rinsing the leaves thoroughly under a warm shower, and then treating them with an insecticide.
